Wanted:
Please transcribe everything further below with every line break kept.

Input:
/*
Record 1
# BeZn2Hg PBE-GGA optimized geometry
data_BeZn2Hg
_chemical_formula_sum 'Be2 Zn4 Hg2'
_symmetry_space_group_name_H-M 'C 1 m 1'
_symmetry_Int_Tables_number 8
_symmetry_space_group_name_Hall 'C -2y'
_cell_length_a 8.3888
_cell_length_b 3.3725
_cell_length_c 4.6428
_cell_angle_alpha 90.00
_cell_angle_beta 100.02
_cell_angle_gamma 90.00
loop_
_atom_site_label
_atom_site_fract_x
_atom_site_fract_y
_atom_site_fract_z
_atom_site_occupancy
Be1 0.0000 0.0000 0.0000 1
Zn1 0.2365 0.5000 0.1890 1
Zn2 0.4774 0.0000 0.3988 1
Hg1 0.2380 0.0000 0.7160 1
# total magnetization: 0.00 Bohr magnetons per cell
# DFT formation energy: 0.28 eV/atom



Record 2
# AgIr4Rh PBE-GGA optimized geometry
data_AgIr4Rh
_chemical_formula_sum 'Ag4 Ir16 Rh4'
_symmetry_space_group_name_H-M 'F -4 3 m'
_symmetry_Int_Tables_number 216
_symmetry_space_group_name_Hall 'F -4 2 3'
_cell_length_a 7.3157
_cell_length_b 7.3157
_cell_length_c 7.3157
_cell_angle_alpha 90.00
_cell_angle_beta 90.00
_cell_angle_gamma 90.00
loop_
_atom_site_label
_atom_site_fract_x
_atom_site_fract_y
_atom_site_fract_z
_atom_site_occupancy
Ag1 0.0000 0.0000 0.0000 1
Ir1 0.1249 0.1249 0.3751 1
Rh1 0.2500 0.2500 0.7500 1
# total magnetization: 6.52 Bohr magnetons per cell
# DFT formation energy: 0.61 eV/atom



Record 3
# PuBCl PBE-GGA optimized geometry
data_PuBCl
_chemical_formula_sum 'Pu4 B4 Cl4'
_symmetry_space_group_name_H-M 'C 1 2/m 1'
_symmetry_Int_Tables_number 12
_symmetry_space_group_name_Hall '-C 2y'
_cell_length_a 5.9143
_cell_length_b 3.4157
_cell_length_c 11.5491
_cell_angle_alpha 90.00
_cell_angle_beta 98.91
_cell_angle_gamma 90.00
loop_
_atom_site_label
_atom_site_fract_x
_atom_site_fract_y
_atom_site_fract_z
_atom_site_occupancy
Pu1 0.0499 0.0000 0.1653 1
B1 0.1682 0.5000 0.0053 1
Cl1 0.2316 0.0000 0.6632 1
# total magnetization: 20.81 Bohr magnetons per cell
# ΔE_f (raw): -90 kJ/mol of atoms



Record 4
# SmTmMg2 PBE-GGA optimized geometry
data_SmTmMg2
_chemical_formula_sum 'Sm1 Tm1 Mg2'
_symmetry_space_group_name_H-M 'P 4/m m m'
_symmetry_Int_Tables_number 123
_symmetry_space_group_name_Hall '-P 4 2'
_cell_length_a 5.3401
_cell_length_b 5.3401
_cell_length_c 3.8417
_cell_angle_alpha 90.00
_cell_angle_beta 90.00
_cell_angle_gamma 90.00
loop_
_atom_site_label
_atom_site_fract_x
_atom_site_fract_y
_atom_site_fract_z
_atom_site_occupancy
Sm1 0.0000 0.0000 0.0000 1
Tm1 0.5000 0.5000 0.0000 1
Mg1 0.0000 0.5000 0.5000 1
# total magnetization: 0.00 Bohr magnetons per cell
# DFT formation energy: -0.08 eV/atom



Record 5
# Ac7PmRu3 PBE-GGA optimized geometry
data_Ac7PmRu3
_chemical_formula_sum 'Ac7 Pm1 Ru3'
_symmetry_space_group_name_H-M 'P 3 m 1'
_symmetry_Int_Tables_number 156
_symmetry_space_group_name_Hall 'P 3 -2"'
_cell_length_a 8.4592
_cell_length_b 8.4592
_cell_length_c 6.7889
_cell_angle_alpha 90.00
_cell_angle_beta 90.00
_cell_angle_gamma 120.00
loop_
_atom_site_label
_atom_site_fract_x
_atom_site_fract_y
_atom_site_fract_z
_atom_site_occupancy
Ac1 0.0000 0.0000 0.0000 1
Ac2 0.1644 0.3289 0.5308 1
Ac3 0.5040 0.0080 0.0106 1
Pm1 0.6667 0.3333 0.5479 1
Ru1 0.3364 0.1682 0.7668 1
# total magnetization: 0.00 Bohr magnetons per cell
# DFT formation energy: -0.16 eV/atom



Record 6
# TbBeGa4Cu2 PBE-GGA optimized geometry
data_TbBeGa4Cu2
_chemical_formula_sum 'Tb3 Be3 Ga12 Cu6'
_symmetry_space_group_name_H-M 'R -3 m'
_symmetry_Int_Tables_number 166
_symmetry_space_group_name_Hall '-R 3 2"'
_cell_length_a 4.2032
_cell_length_b 4.2032
_cell_length_c 25.3789
_cell_angle_alpha 90.00
_cell_angle_beta 90.00
_cell_angle_gamma 120.00
loop_
_atom_site_label
_atom_site_fract_x
_atom_site_fract_y
_atom_site_fract_z
_atom_site_occupancy
Tb1 0.0000 0.0000 0.0000 1
Be1 0.0000 0.0000 0.5000 1
Ga1 0.0000 0.0000 0.1298 1
Ga2 0.0000 0.0000 0.4012 1
Cu1 0.0000 0.0000 0.2368 1
# total magnetization: 0.00 Bohr magnetons per cell
# DFT formation energy: -0.16 eV/atom



Record 7
# YBi4Pd15 PBE-GGA optimized geometry
data_YBi4Pd15
_chemical_formula_sum 'Y1 Bi4 Pd15'
*/

Outcome:
Record 1
# BeZn2Hg PBE-GGA optimized geometry
data_BeZn2Hg
_chemical_formula_sum 'Be2 Zn4 Hg2'
_symmetry_space_group_name_H-M 'C 1 m 1'
_symmetry_Int_Tables_number 8
_symmetry_space_group_name_Hall 'C -2y'
_cell_length_a 8.3888
_cell_length_b 3.3725
_cell_length_c 4.6428
_cell_angle_alpha 90.00
_cell_angle_beta 100.02
_cell_angle_gamma 90.00
loop_
_atom_site_label
_atom_site_fract_x
_atom_site_fract_y
_atom_site_fract_z
_atom_site_occupancy
Be1 0.0000 0.0000 0.0000 1
Zn1 0.2365 0.5000 0.1890 1
Zn2 0.4774 0.0000 0.3988 1
Hg1 0.2380 0.0000 0.7160 1
# total magnetization: 0.00 Bohr magnetons per cell
# DFT formation energy: 0.28 eV/atom



Record 2
# AgIr4Rh PBE-GGA optimized geometry
data_AgIr4Rh
_chemical_formula_sum 'Ag4 Ir16 Rh4'
_symmetry_space_group_name_H-M 'F -4 3 m'
_symmetry_Int_Tables_number 216
_symmetry_space_group_name_Hall 'F -4 2 3'
_cell_length_a 7.3157
_cell_length_b 7.3157
_cell_length_c 7.3157
_cell_angle_alpha 90.00
_cell_angle_beta 90.00
_cell_angle_gamma 90.00
loop_
_atom_site_label
_atom_site_fract_x
_atom_site_fract_y
_atom_site_fract_z
_atom_site_occupancy
Ag1 0.0000 0.0000 0.0000 1
Ir1 0.1249 0.1249 0.3751 1
Rh1 0.2500 0.2500 0.7500 1
# total magnetization: 6.52 Bohr magnetons per cell
# DFT formation energy: 0.61 eV/atom



Record 3
# PuBCl PBE-GGA optimized geometry
data_PuBCl
_chemical_formula_sum 'Pu4 B4 Cl4'
_symmetry_space_group_name_H-M 'C 1 2/m 1'
_symmetry_Int_Tables_number 12
_symmetry_space_group_name_Hall '-C 2y'
_cell_length_a 5.9143
_cell_length_b 3.4157
_cell_length_c 11.5491
_cell_angle_alpha 90.00
_cell_angle_beta 98.91
_cell_angle_gamma 90.00
loop_
_atom_site_label
_atom_site_fract_x
_atom_site_fract_y
_atom_site_fract_z
_atom_site_occupancy
Pu1 0.0499 0.0000 0.1653 1
B1 0.1682 0.5000 0.0053 1
Cl1 0.2316 0.0000 0.6632 1
# total magnetization: 20.81 Bohr magnetons per cell
# ΔE_f (raw): -90 kJ/mol of atoms



Record 4
# SmTmMg2 PBE-GGA optimized geometry
data_SmTmMg2
_chemical_formula_sum 'Sm1 Tm1 Mg2'
_symmetry_space_group_name_H-M 'P 4/m m m'
_symmetry_Int_Tables_number 123
_symmetry_space_group_name_Hall '-P 4 2'
_cell_length_a 5.3401
_cell_length_b 5.3401
_cell_length_c 3.8417
_cell_angle_alpha 90.00
_cell_angle_beta 90.00
_cell_angle_gamma 90.00
loop_
_atom_site_label
_atom_site_fract_x
_atom_site_fract_y
_atom_site_fract_z
_atom_site_occupancy
Sm1 0.0000 0.0000 0.0000 1
Tm1 0.5000 0.5000 0.0000 1
Mg1 0.0000 0.5000 0.5000 1
# total magnetization: 0.00 Bohr magnetons per cell
# DFT formation energy: -0.08 eV/atom



Record 5
# Ac7PmRu3 PBE-GGA optimized geometry
data_Ac7PmRu3
_chemical_formula_sum 'Ac7 Pm1 Ru3'
_symmetry_space_group_name_H-M 'P 3 m 1'
_symmetry_Int_Tables_number 156
_symmetry_space_group_name_Hall 'P 3 -2"'
_cell_length_a 8.4592
_cell_length_b 8.4592
_cell_length_c 6.7889
_cell_angle_alpha 90.00
_cell_angle_beta 90.00
_cell_angle_gamma 120.00
loop_
_atom_site_label
_atom_site_fract_x
_atom_site_fract_y
_atom_site_fract_z
_atom_site_occupancy
Ac1 0.0000 0.0000 0.0000 1
Ac2 0.1644 0.3289 0.5308 1
Ac3 0.5040 0.0080 0.0106 1
Pm1 0.6667 0.3333 0.5479 1
Ru1 0.3364 0.1682 0.7668 1
# total magnetization: 0.00 Bohr magnetons per cell
# DFT formation energy: -0.16 eV/atom



Record 6
# TbBeGa4Cu2 PBE-GGA optimized geometry
data_TbBeGa4Cu2
_chemical_formula_sum 'Tb3 Be3 Ga12 Cu6'
_symmetry_space_group_name_H-M 'R -3 m'
_symmetry_Int_Tables_number 166
_symmetry_space_group_name_Hall '-R 3 2"'
_cell_length_a 4.2032
_cell_length_b 4.2032
_cell_length_c 25.3789
_cell_angle_alpha 90.00
_cell_angle_beta 90.00
_cell_angle_gamma 120.00
loop_
_atom_site_label
_atom_site_fract_x
_atom_site_fract_y
_atom_site_fract_z
_atom_site_occupancy
Tb1 0.0000 0.0000 0.0000 1
Be1 0.0000 0.0000 0.5000 1
Ga1 0.0000 0.0000 0.1298 1
Ga2 0.0000 0.0000 0.4012 1
Cu1 0.0000 0.0000 0.2368 1
# total magnetization: 0.00 Bohr magnetons per cell
# DFT formation energy: -0.16 eV/atom



Record 7
# YBi4Pd15 PBE-GGA optimized geometry
data_YBi4Pd15
_chemical_formula_sum 'Y1 Bi4 Pd15'